Coming soon
The Third and Final book in the Darryl Glenn trilogy. It started at Winston-Salem State University. It flowed through the mountains and valleys of Yellowstone to the hayfields of Kansas. It chronicles the lost loves and life of noted raptor biologist Dr. Darryl Glenn. And now his hometown is under siege. Hold on because once again, Darryl A Perkins takes the reader on a magical ride of mystery, murder, and redemption – all with a comic twist. It may have started at WSSU, but it ends in Bushtown! Nestled in the foothills of North Carolina, Caldwell County is sleepy county where furniture manufacturing and Friday night football are king. That is until it falls prey to a serial killer. Setzer’s Creek will keep you in suspense until the very end!
Everyone knew they would be together. That’s just the way it was. As far back as anyone could remember, when you saw one, you saw the other.
Ever since third grade, Molly Jones was the only girl Frankie Patterson had eyes for and believe me, Molly felt the same way. Frankie wasn’t brave, nor was he a hero, but when Blake Felder yanked Molly’s ponytail on the school bus and made her cry, Frankie lost his mind and popped older and bigger Blake in the nose. Of course he took a beating for his trouble, but it didn’t matter. That single act of valor had won the heart of his lady-love for evermore.
Molly lived with her grandmother who was a retired librarian and a pillar of the community. Mrs. Hilda Gray Jones was tasked with raising Molly when her only daughter Grace, Mollies mother, and Mollies father Ben had both died in a tragic car accident when Molly was seven. Fritz Jones, her husband of forty years, had never gotten over the loss of his only daughter and died in his sleep just months after Grace’s death. Having Molly to look after was a godsend for Miss Hilda Gray - as she was known in the Bushtown community. She would often say to Molly, ”Baby girl. You are the only thing that keeps your old granny sane!”
Molly was the joy of her grandma’s life. Now Miss Hilda Grey just knew that if Molly didn’t ruin her life traipsing after that wild Patterson boy, she would surely become a successful doctor or lawyer. Molly had inherited a quick mind and thirst for knowledge from both of her parents and just like her mother and father, she would continue her education at the University of North Carolina at Chapel Hill.
Frankie Patterson was the only son of Francis and Jake Patterson. He lived in a small two-bedroom house in the Bucko Hollow section of Freedman. Francis was a quiet, unassuming woman, and her only fault according to the local gossips - was in loving that despicable Jake Patterson! Using despicable to describe Jake seemed a little harsh, particularly considering that the vast majority of the ladies in Caldwell County had spent intimate quality time with Francis Patterson’s husband on more than one occasion. Jake was one of the nicest men in Caldwell County provided he wasn’t drinking. Moonshine was his beverage of choice and since his family was riddled with “shine-men”, he didn’t have to look too far for a jar of the white. When he was drinking he would fight at the drop of a hat and being somewhat of a lady’s man; a wink, a smile, or a glance that lingered a little too long on someone else’s woman often got him in hot water. Drunk or sober, he was always kind and gentle with Francis and she had to encourage him spank little Frankie when he really needed it.
Frankie grew up amid rumors that brothers and sisters abound in Lenoir and throughout the surrounding counties. On more than one occasion he had heard, “You just watch and see. He’s gonna be just like his daddy.”
Inserted here: records of molecules >
/*
(1)
40
Properties=species:S:1:pos:R:3:forces:R:3 method="wB97M-V/def2-TZVPD" e_above_lowest_ev=0.2071 lumo_energy_ev=0.2 homo_energy_ev=-8.11 smiles=CCNc1ccc2nnc([C@@H](C)c3c[nH]c4ncccc34)n2n1 molar_mass_g_mol=307.36 e_tot_ev=-27297.5703 total_charge=0
H -0.32237 -1.85424 2.40331 0.8 -0.7 0.2
H 3.45410 -2.70586 2.64272 -0.3 0.2 0.1
N 4.13046 1.56310 1.05440 0.3 0.6 -1.1
N 1.20265 -0.23647 1.74333 0.5 -0.6 -0.1
C 1.63396 -1.39864 2.19119 0.1 0.2 0.1
H 0.51886 3.82333 2.12569 0.1 0.0 -0.1
H -0.12931 1.88477 0.89182 0.3 -0.3 -0.1
C 3.50481 0.48876 1.42985 0.6 -1.3 1.3
C 1.99288 1.87896 0.73127 -0.1 -0.7 1.1
C 0.79434 -3.67924 2.90074 -1.3 0.4 -0.4
H -0.28277 -5.06133 4.17793 0.2 0.4 0.1
H -2.22261 2.19236 0.05002 -0.3 0.0 0.0
C -0.91362 2.34749 -1.63261 1.3 0.6 1.9
C 0.42398 2.50537 -1.06110 -0.4 -0.7 -0.3
C 1.31327 2.53766 -2.10568 -1.3 -0.2 0.8
C -3.00908 2.34729 -3.27948 -0.1 -0.3 -0.7
H 2.39159 2.60862 -2.05009 -0.2 0.0 -0.3
H 1.82552 -3.99303 3.10452 -0.3 0.7 0.3
C -0.17469 -3.97300 4.02541 0.0 -0.9 1.1
N 0.61012 -2.25681 2.58261 1.7 0.7 -0.4
H 0.99767 2.47976 -4.23229 -0.8 -0.1 1.5
H -4.24181 2.12620 -1.50086 0.0 0.3 -0.3
C -0.77022 2.37068 -3.00484 -0.5 -0.3 -0.9
H 5.08734 -0.89009 2.01741 -0.4 -0.1 0.0
H 0.50808 -4.29238 2.04386 0.0 0.0 -0.2
N 2.17006 0.64260 1.34451 -1.1 0.6 -0.7
C 0.65711 2.48219 0.42384 0.3 0.7 -0.2
C -3.24862 2.28317 -1.90992 0.6 -0.5 1.4
N -1.80230 2.34640 -3.86067 0.1 0.3 0.2
H -3.88955 2.35308 -3.94187 0.6 0.0 0.1
H 1.30786 4.59665 0.71920 -0.8 -0.7 0.1
N 0.58058 2.40658 -3.27728 0.9 0.4 -2.1
N 3.17341 2.42172 0.56718 0.1 -0.1 0.3
H 0.12225 -3.50922 4.98366 0.0 -0.2 -0.5
C -2.16000 2.25433 -1.02729 -0.2 0.2 -1.3
C 4.00425 -0.76726 1.95637 -0.9 -0.2 0.1
H -1.18625 -3.61372 3.82453 0.1 0.1 -0.3
H -0.47623 4.29530 0.76167 -0.1 0.2 -0.2
C 0.49219 3.89304 1.03085 1.0 0.2 0.3
C 3.09916 -1.73103 2.32316 -0.4 1.2 -0.7



(2)
43
Properties=species:S:1:pos:R:3:forces:R:3 method="wB97M-V/def2-TZVPD" e_above_lowest_ev=0.0745 lumo_energy_ev=0.3 homo_energy_ev=-8.85 smiles="C=CCn1c(SCC(=O)Nc2nnc(CC)s2)nnc1-c1cccnc1" molar_mass_g_mol=387.49 e_tot_ev=-51015.8973 total_charge=0
H 3.91150 -3.19442 0.84707 -0.1 -0.1 0.0
H 3.96009 3.88149 0.14669 0.1 0.2 0.1
C 3.38459 2.97749 0.05437 0.1 0.1 -0.1
C 2.87875 2.36981 1.11044 -0.2 -0.2 0.1
H 3.25383 2.60270 -0.94818 -0.1 -0.1 -0.2
N 2.13616 -0.66646 -2.02580 0.9 -0.4 0.0
C 1.90892 -2.55205 0.36905 0.1 -0.5 -0.3
C -0.37649 1.53815 -0.85108 -0.4 0.4 0.1
H 3.02848 2.76372 2.10601 0.1 0.1 0.1
H 1.09603 1.26170 1.55403 0.1 -0.1 0.0
C -0.38019 2.73436 -0.13681 -0.1 -0.2 -0.2
N -2.75164 1.65679 -1.09629 -0.4 -0.1 -0.2
N 1.86181 0.58007 -0.23436 -0.3 -0.3 -0.7
H -3.91616 -2.18904 2.18360 0.0 -0.1 0.1
H -3.16211 -0.59340 2.14505 0.0 0.1 0.1
H -4.91157 -0.74706 1.96661 0.0 0.1 0.1
C -2.52141 -1.94635 -0.18768 0.7 0.2 0.5
H -1.63249 0.16205 -1.93049 0.1 -0.1 0.0
C 2.07334 1.10248 1.08511 0.1 0.2 0.5
C -1.59180 3.36369 0.09618 0.0 0.0 0.0
H -1.63312 4.29317 0.64230 0.0 0.1 0.0
*/
Here the piece continues >
Well, as far as Frankie was concerned, being just like Jake Patterson was all he ever wanted to do. His father had been a great high school football and basketball player and had played for Clarence “Big House” Gaines at Winston-Salem State. Plus, no one could make his mother laugh like his dad. When his dad sang to his mom, or danced and talked “fool talk” to her, she would light up like a candle. And while with a little white liquor in his gut, Jake was as big a whore monger that ever walked the earth; his son Frankie, on the other hand, was a one-woman man and that woman was Molly Jones!
## Calculated molecules that have nothing to do with the entry
[1]
{
  "formula": "C23H42MgN5O",
  "method": "the ωB97M-V functional and the def2-TZVPD basis",
  "species": ["H", "N", "H", "H", "H", "H", "H", "C", "H", "H", "N", "H", "C", "H", "C", "H", "H", "N", "N", "C", "C", "H", "H", "H", "C", "C", "H", "C", "H", "H", "C", "H", "H", "O", "C", "H", "H", "H", "H", "H", "C", "C", "H", "H", "H", "H", "C", "H", "C", "H", "C", "C", "H", "H", "H", "C", "H", "H", "C", "H", "H", "Mg", "H", "H", "N", "H", "C", "C", "C", "H", "C", "C"],
  "coordinates": [[-7.18954, -0.22614, -1.13221], [-0.03782, 1.74843, -0.56168], [-2.98356, 0.77359, 0.66211], [-4.11487, -0.99231, -3.26606], [-5.10942, -1.20440, -0.34995], [3.25192, -2.98852, 3.31490], [1.81188, -0.92912, 3.42360], [-1.41601, 0.65440, 3.65361], [-2.21214, 0.81249, 4.38277], [3.64695, 1.90276, -2.04243], [0.89621, -0.43752, -2.25015], [-1.96709, 3.92277, 0.61091], [-5.28200, -1.41418, -1.40930], [-6.92031, -0.86141, -2.75491], [2.29496, -5.48851, 0.10337], [2.05076, 2.59931, -2.02437], [3.44382, 3.62480, -2.57747], [2.02172, -0.06238, 0.52752], [-1.84473, -1.06338, -1.32896], [4.03050, -2.40801, 2.82436], [2.61202, -0.27470, 3.06439], [4.30772, -4.74405, -0.28435], [3.38695, 0.18006, -4.07577], [2.47522, -5.59755, 1.16674], [2.39326, 0.65227, -4.05999], [-0.87243, 3.92031, 0.60795], [0.63921, 5.38910, 0.09806], [3.01152, 2.63114, -2.54667], [-4.47387, 0.41084, -2.27950], [3.51078, 2.30736, -4.63560], [-4.26645, -0.65900, -2.23287], [3.22720, -4.37688, -1.61542], [-2.28886, 6.26406, 0.17843], [-0.95420, -0.30832, 1.48039], [-3.02320, 0.91498, 1.74421], [3.96730, -2.44591, 1.73242], [-5.18043, -2.49777, -1.46763], [2.51952, 0.71407, 3.50754], [-2.47578, -0.93399, 2.67465], [-1.05862, 6.65896, 1.40265], [0.82477, -5.06396, -0.14651], [-1.22273, 6.42662, 0.34982], [-0.83708, 1.53792, 3.37305], [1.81698, 2.72171, -4.35293], [4.76597, -0.40761, 2.78648], [-4.02140, 0.65646, 2.09736], [2.66490, 2.15901, -3.95973], [2.44716, -6.41373, -0.44812], [-2.90959, -0.85692, -1.69434], [0.19860, -5.58921, 0.57530], [1.56646, 0.02519, -3.05070], [-6.73849, -1.04711, -1.69122], [4.24389, -0.94662, 4.34863], [-0.51284, 5.06132, -1.15278], [-7.45023, -1.85467, -1.49192], [-0.42634, 5.20914, -0.07284], [-0.70645, 0.01090, 4.18770], [-0.62584, 3.78120, 1.66514], [3.27254, -4.49837, -0.53203], [-2.74658, 1.95456, 1.91976], [3.15131, -3.47604, -0.15561], [-0.08441, -0.43981, -0.30005], [0.48780, -5.40461, -1.13034], [5.01559, -2.84532, 2.98832], [0.31958, -2.51681, -0.16011], [-0.92320, 7.29581, -0.23349], [-0.39349, 2.71193, -0.05789], [0.53936, -3.63700, -0.15521], [-1.94751, -0.01316, 2.38829], [2.15193, 0.37329, -5.09112], [2.28798, -0.13705, 1.63640], [3.96329, -0.94467, 3.29538]],
## So much for the calculated molecules
And so that’s the way it was with Frankie and Molly – childhood sweethearts who were destined to be together forever.
Finally, it was the second Saturday in May which meant one thing in Caldwell County – Prom Night! Prom night was the one night that if you played your cards right and didn’t hold back on the I-Love-You’s; a fellow could get lucky. This of course would mean that at least for one night, all those locker room lies could be laid to rest.
It seems that bragging about sexual conquests was a rite of passage among the sixteen and seventeen-year-old boys of Caldwell County. Almost everyone did it - bragged and lied that is - and absolutely no one believed it was true. So when a high school boy quit bragging, it was commonly thought that he and his lady love had finally “did it.”
This wasn’t the case with Frankie and Molly. When Ladonna Hatton got pregnant in the eighth grade and her folks moved to Kansas amid rumors and questions, Frankie and Molly vowed to wait until marriage before “doing it.” To Frankie it seemed like a good idea at the time - back there in the seventh grade, but as his hormones got stronger and Molly got softer, marriage after college seemed like an awfully long ways away. By the end of their junior year Frankie had begged, pleaded and kissed the “do-it” date down to their freshman year when they would be off at college. To all his friends, the fact that Frankie didn’t indulge in locker room banter further advanced the notion that he and Molly were doing it on the regular.
When the girls were talking about whom they wanted to do it with or who they had already been with, Molly never joined in. Instead she just smiled and shook her head when the conversation turned to her and Frankie.
[The article is interrupted by records of molecules]
- - -
{"formula": "C2H4N4O2", "method": "wB97M-V/def2-TZVPD", "symbols": ["C", "C", "H", "H", "H", "H", "N", "N", "N", "N", "O", "O"], "positions_angstrom": [[0.1801, -0.3545, 0.0798], [-0.7461, 0.6899, 1.6524], [-1.6087, -1.6759, -1.1515], [-0.6876, -1.8045, -2.6009], [-1.4413, 1.1132, 2.3505], [2.4624, 1.6154, -0.3771], [-0.6277, -1.6887, -1.6159], [0.2237, -0.7598, -1.1345], [-1.0121, -0.2781, 0.8619], [1.2509, 0.4915, 0.6154], [0.5139, 1.1819, 1.6911], [1.4926, 1.4696, -0.3712]], "largest_force_ev_per_a": 4.0, "smiles": "N/N=c1\\ncon1O", "e_above_lowest_kj_mol": 379.9, "homo_energy_ev": -8.328, "e_lumo_ev": 0.77, "charge": 0, "spin_multiplicity": 1, "homo_lumo_gap_ev": 9.10}
- - -
“Girl-l-l-l-l! Frankie been hit’n that since third grade!” her best friend Gloria would say when the subject turned to whose loving who. “She just ain’t one to kiss and tell is all.”
Molly would just smile, shake her head and say one word, “Marriage!”
The fact that everyone assumed they were doing it was amusing to Frankie and Molly. So the second Saturday in May found them headed to Cedar Rock Country Club for Hibriten High School’s Prom.